# File
____________
Entry from the Materials Project database: a relaxed structure of Pr3Ag4Ge4 (GGA-PBE).

The structure in POSCAR format:
```
Pr3Ag4Ge4
1.0
4.491 0.000 0.000
0.000 7.241 0.000
-2.246 -3.620 7.450
Ag Pr Ge
4 3 4
Direct
0.331 0.637 0.663 Ag
0.669 0.974 0.337 Ag
0.331 0.026 0.663 Ag
0.669 0.363 0.337 Ag
0.128 0.628 0.256 Pr
0.000 0.000 0.000 Pr
0.872 0.372 0.744 Pr
0.500 0.681 0.000 Ge
0.217 0.217 0.433 Ge
0.500 0.319 0.000 Ge
0.783 0.783 0.567 Ge
```

Properties
For the raw total energy, the calculation gives -50.24 eV per formula unit. The value obtained for the formation energy is -0.55 eV/atom. The crystal system is orthorhombic.

----------

1.
SrFe3P3O12 | PBE+U | optimized geometry

a = 9.237 Å, b = 9.237 Å, c = 9.237 Å
α = 138.01°, β = 110.07°, γ = 85.05°
Positions (direct):
O 0.158 0.116 0.959
O 0.639 0.297 0.935
O 0.346 0.704 0.778
O 0.154 0.932 0.358
O 0.638 0.703 0.342
O 0.342 0.301 0.959
O 0.842 0.884 0.041
O 0.846 0.068 0.642
O 0.862 0.204 0.065
O 0.134 0.490 0.123
O 0.866 0.510 0.877
O 0.634 0.510 0.644
O 0.366 0.490 0.356
O 0.654 0.296 0.222
O 0.926 0.704 0.358
O 0.861 0.796 0.658
O 0.658 0.699 0.041
O 0.138 0.796 0.935
O 0.362 0.297 0.658
O 0.574 0.932 0.778
O 0.074 0.296 0.642
O 0.139 0.204 0.342
O 0.361 0.703 0.065
O 0.426 0.068 0.222
P 0.823 0.823 0.500
P 0.177 0.177 0.500
P 0.250 0.344 0.094
P 0.750 0.656 0.906
P 0.323 0.823 0.000
P 0.677 0.177 0.000
Sr 0.250 0.850 0.600
Sr 0.750 0.150 0.400
Fe 0.118 0.618 0.000
Fe 0.618 0.618 0.500
Fe 0.000 0.000 0.000
Fe 0.882 0.382 0.000
Fe 0.500 0.500 0.000
Fe 0.382 0.382 0.500

uncorrected energy = -7.183 eV per atom
corrected total energy (MP2020 scheme) = -7.973 eV per atom
crystal system = orthorhombic


2.
Li2Mn2SbO6 | PBE+U | optimized geometry

a = 5.357 Å, b = 10.293 Å, c = 5.357 Å
α = 90.02°, β = 117.52°, γ = 90.01°
Positions (direct):
Mn 0.342 0.000 0.658
Mn 0.828 0.500 0.172
Mn 0.672 0.000 0.328
Mn 0.158 0.500 0.842
Li 0.101 0.750 0.601
Li 0.904 0.250 0.403
Li 0.597 0.750 0.096
Li 0.399 0.250 0.899
O 0.203 0.382 0.536
O 0.338 0.092 0.300
O 0.036 0.118 0.703
O 0.464 0.618 0.797
O 0.956 0.892 0.290
O 0.162 0.592 0.200
O 0.700 0.908 0.662
O 0.544 0.392 0.210
O 0.710 0.108 0.044
O 0.790 0.608 0.456
O 0.297 0.882 0.964
O 0.800 0.408 0.838
Sb 0.490 0.500 0.510
Sb 0.010 0.000 0.990

uncorrected energy = -6.459 eV per atom
corrected total energy (MP2020 scheme) = -7.137 eV per atom
crystal system = orthorhombic


3.
BaDyFe4O7 | PBE+U | optimized geometry

a = 6.477 Å, b = 6.477 Å, c = 6.477 Å
α = 121.25°, β = 121.25°, γ = 87.85°
Positions (direct):
Fe 0.591 0.861 0.212
Fe 0.649 0.379 0.788
Fe 0.621 0.409 0.269
Fe 0.139 0.351 0.731
O 0.245 0.245 0.000
O 0.275 0.176 0.498
O 0.750 0.250 0.500
O 0.223 0.725 0.901
O 0.678 0.777 0.502
O 0.755 0.755 0.000
O 0.824 0.322 0.099
Ba 0.250 0.750 0.500
Dy 0.000 0.000 0.000

uncorrected energy = -6.893 eV per atom
corrected total energy (MP2020 scheme) = -7.957 eV per atom
crystal system = tetragonal


4.
Sr4LaMn5O13 | PBE+U | optimized geometry

a = 7.659 Å, b = 8.886 Å, c = 9.646 Å
α = 90.34°, β = 66.61°, γ = 90.00°
Positions (direct):
O 0.043 0.801 0.914
O 0.702 0.714 0.597
O 0.350 0.603 0.790
O 0.099 0.081 0.801
O 0.399 0.920 0.202
O 0.900 0.913 0.200
O 0.958 0.196 0.084
O 0.798 0.271 0.404
O 0.505 0.508 0.990
O 0.454 0.160 0.590
O 0.456 0.205 0.088
O 0.957 0.160 0.590
O 0.294 0.281 0.412
O 0.843 0.581 0.315
O 0.542 0.814 0.916
O 0.157 0.419 0.686
O 0.545 0.836 0.414
O 0.859 0.603 0.790
O 0.201 0.715 0.597
O 0.342 0.583 0.315
O 0.663 0.409 0.674
O 0.146 0.399 0.207
O 0.599 0.091 0.803
O 0.003 0.503 0.994
O 0.041 0.836 0.414
O 0.647 0.399 0.207
Mn 0.000 0.999 0.001
Mn 0.803 0.802 0.394
Mn 0.196 0.193 0.608
Mn 0.499 0.006 0.002
Mn 0.901 0.394 0.198
Mn 0.100 0.605 0.801
Mn 0.400 0.397 0.200
Mn 0.600 0.607 0.799
Mn 0.698 0.192 0.604
Mn 0.303 0.804 0.394
La 0.499 0.498 0.503
La 0.998 0.498 0.503
Sr 0.601 0.112 0.297
Sr 0.397 0.888 0.706
Sr 0.305 0.318 0.897
Sr 0.202 0.685 0.099
Sr 0.896 0.888 0.706
Sr 0.699 0.685 0.099
____________

# Assignment
Transcribe the notes further above from the first line to the one with "0.139 0.204" word for word.

# Done
Entry from the Materials Project database: a relaxed structure of Pr3Ag4Ge4 (GGA-PBE).

The structure in POSCAR format:
```
Pr3Ag4Ge4
1.0
4.491 0.000 0.000
0.000 7.241 0.000
-2.246 -3.620 7.450
Ag Pr Ge
4 3 4
Direct
0.331 0.637 0.663 Ag
0.669 0.974 0.337 Ag
0.331 0.026 0.663 Ag
0.669 0.363 0.337 Ag
0.128 0.628 0.256 Pr
0.000 0.000 0.000 Pr
0.872 0.372 0.744 Pr
0.500 0.681 0.000 Ge
0.217 0.217 0.433 Ge
0.500 0.319 0.000 Ge
0.783 0.783 0.567 Ge
```

Properties
For the raw total energy, the calculation gives -50.24 eV per formula unit. The value obtained for the formation energy is -0.55 eV/atom. The crystal system is orthorhombic.

----------

1.
SrFe3P3O12 | PBE+U | optimized geometry

a = 9.237 Å, b = 9.237 Å, c = 9.237 Å
α = 138.01°, β = 110.07°, γ = 85.05°
Positions (direct):
O 0.158 0.116 0.959
O 0.639 0.297 0.935
O 0.346 0.704 0.778
O 0.154 0.932 0.358
O 0.638 0.703 0.342
O 0.342 0.301 0.959
O 0.842 0.884 0.041
O 0.846 0.068 0.642
O 0.862 0.204 0.065
O 0.134 0.490 0.123
O 0.866 0.510 0.877
O 0.634 0.510 0.644
O 0.366 0.490 0.356
O 0.654 0.296 0.222
O 0.926 0.704 0.358
O 0.861 0.796 0.658
O 0.658 0.699 0.041
O 0.138 0.796 0.935
O 0.362 0.297 0.658
O 0.574 0.932 0.778
O 0.074 0.296 0.642
O 0.139 0.204 0.342